Your job: filter the rows further down: keep the lines with the word "Rh".

┌──
(1)
A plane-wave DFT calculation with PBE was carried out for a relaxed ZrScPd3 crystal.

a b c (Å): 7.4985 5.5748 9.0023
angles (deg): 90.00 107.84 90.00
With the nearest neighbours (Å) after each atom.
Space group P2_1/c (No. 14)
Unique sites:
Zr 0.1001 0.1156 0.1646 x4  6 Pd 2.65-2.96
Sc 0.3483 0.7462 0.4566 x4  9 Pd 2.68-2.99
Pd 0.1185 0.6232 0.1310 x4  2 Sc 2.76-2.99, 4 Zr 2.77-3.04, 3 Pd 2.84-2.92
Pd 0.2761 0.2432 0.9534 x4  2 Zr 2.65-2.72, 3 Sc 2.68-2.90, 1 Pd 2.92
Pd 0.4987 0.5287 0.7488 x4  4 Sc 2.76-2.99, 6 Pd 2.79-3.08, 1 Zr 2.96

Computed properties:
distance to the lowest polymorph of the same formula	40	meV/atom
total energy	-135.95	eV per cell
size of the total moment	0.00	μB per atom
energy of formation	-706	meV per atom

(2)
A plane-wave DFT calculation with PBE was carried out for a relaxed Pu2InAs3Rh4 crystal.

a b c (Å): 4.0889 4.0889 11.2206
angles (deg): 90.00 90.00 90.00
With the nearest neighbours (Å) after each atom.
Space group P-4m2 (No. 115)
Unique sites:
Pu 0.0000 0.5000 0.2416 x2  8 Rh 3.10-3.40, 4 As 3.16
In 0.0000 0.0000 0.5000 x1  4 Rh 2.70, 4 As 2.89
As 0.0000 0.5000 0.8718 x2  5 Rh 2.40-2.50
As 0.5000 0.5000 0.5000 x1  4 Rh 2.70, 4 In 2.89
Rh 0.0000 0.0000 0.0000 x1  4 As 2.50
Rh 0.0000 0.5000 0.6577 x2  1 As 2.40
Rh 0.5000 0.5000 0.0000 x1  4 As 2.50

Computed properties:
total energy	-81.00	eV per cell
size of the total moment	1.05	μB per atom
energy of formation	-624	meV per atom

(3)
A plane-wave DFT calculation with PBE was carried out for a relaxed LaZnCuRh2 crystal.

a b c (Å): 4.8977 4.8977 5.2493
angles (deg): 90.00 90.00 90.00
With the nearest neighbours (Å) after each atom.
Space group P4/mmm (No. 123)
Unique sites:
La 0.0000 0.0000 0.0000 x1  4 Rh 2.45, 2 Cu 2.62
Zn 0.5000 0.5000 0.5000 x1  4 Cu 3.46, 8 Rh 3.59
Cu 0.0000 0.0000 0.5000 x1  2 La 2.62
Rh 0.0000 0.5000 0.0000 x2  2 La 2.45

Computed properties:
total energy	-19.99	eV per cell
size of the total moment	0.00	μB per atom
energy of formation	1003	meV per atom

(4)
A plane-wave DFT calculation with PBE was carried out for a relaxed Sm6ErIn3 crystal.

a b c (Å): 10.5643 15.6707 7.7930
angles (deg): 90.00 90.00 90.00
With the nearest neighbours (Å) after each atom.
Space group Cmc2_1 (No. 36)
Unique sites:
Sm 0.0000 0.0448 0.0000 x4  1 Er 3.32, 6 Sm 3.34-3.68, 4 In 3.41-3.49
Sm 0.0000 0.3065 0.8554 x4  3 In 3.38-3.48, 6 Sm 3.58-3.69
Sm 0.2314 0.3144 0.5012 x8  3 In 3.12-3.29, 1 Sm 3.41, 1 Er 3.45
Sm 0.2400 0.4668 0.8137 x8  4 In 3.24-3.33, 3 Sm 3.34-3.58
Er 0.0000 0.1984 0.2926 x4  2 In 3.25, 5 Sm 3.32-3.64
In 0.0000 0.4540 0.5387 x4  7 Sm 3.29-3.38
In 0.1431 0.1373 0.6413 x8  1 In 3.02, 4 Sm 3.12-3.27, 1 Er 3.25

Computed properties:
distance to the lowest polymorph of the same formula	123	meV/atom
total energy	-169.92	eV per cell
size of the total moment	0.00	μB per atom
energy of formation	-139	meV per atom

(5)
A plane-wave DFT calculation with PBE was carried out for a relaxed CaEuHo2 crystal.

a b c (Å): 5.8483 5.8483 4.0876
angles (deg): 90.00 90.00 90.00
With the nearest neighbours (Å) after each atom.
Space group P4/mmm (No. 123)
Unique sites:
Ca 0.0000 0.0000 0.0000 x1  8 Ho 3.57
Eu 0.5000 0.5000 0.0000 x1  8 Ho 3.57
Ho 0.0000 0.5000 0.5000 x2  4 Ca 3.57, 4 Eu 3.57

Computed properties:
distance to the lowest polymorph of the same formula	33	meV/atom
total energy	-20.68	eV per cell
size of the total moment	1.88	μB per atom
energy of formation	187	meV per atom

(6)
A plane-wave DFT calculation with PBE was carried out for a relaxed Ba2CaH2O2 crystal.

a b c (Å): 4.2403 4.2403 14.1353
angles (deg): 90.00 90.00 90.00
With the nearest neighbours (Å) after each atom.
Space group I4/mmm (No. 139)
Unique sites:
Ba 0.0000 0.0000 0.1553 x4  1 O 2.54
Ca 0.0000 0.0000 0.5000 x2  4 H 2.12, 2 O 2.33
H 0.0000 0.5000 0.0000 x4  2 Ca 2.12
O 0.0000 0.0000 0.3351 x4  1 Ca 2.33, 1 Ba 2.54

Computed properties:
total energy	-68.40	eV per cell
size of the total moment	0.00	μB per atom

(7)
└──

Pu 0.0000 0.5000 0.2416 x2  8 Rh 3.10-3.40, 4 As 3.16
In 0.0000 0.0000 0.5000 x1  4 Rh 2.70, 4 As 2.89
As 0.0000 0.5000 0.8718 x2  5 Rh 2.40-2.50
As 0.5000 0.5000 0.5000 x1  4 Rh 2.70, 4 In 2.89
Rh 0.0000 0.0000 0.0000 x1  4 As 2.50
Rh 0.0000 0.5000 0.6577 x2  1 As 2.40
Rh 0.5000 0.5000 0.0000 x1  4 As 2.50
La 0.0000 0.0000 0.0000 x1  4 Rh 2.45, 2 Cu 2.62
Zn 0.5000 0.5000 0.5000 x1  4 Cu 3.46, 8 Rh 3.59
Rh 0.0000 0.5000 0.0000 x2  2 La 2.45